Now count the lines below that contain the word "O10" and give the number alone.
'''
Compound: Rb2Au3
Source: the Materials Project
Functional: GGA-PBE
Structure: optimized geometry

Crystal system: orthorhombic
Energy relative to the elements (eV per atom): -0.299

Lattice parameters (Å, degrees): 5.046 5.594 10.808 90.00 90.00 90.00
Space group Immm (No. 71)
Unique sites:
Rb1 0.000 0.000 0.196
Au1 0.000 0.254 0.500
Au2 0.000 0.500 0.000

Compound: BaMg14CdO16
Source: the Materials Project
Functional: GGA-PBE
Structure: optimized geometry

Crystal system: tetragonal
Energy relative to the elements (eV per atom): -2.736
Energy relative to the lowest polymorph listed for this composition (eV/atom): 0.000
Total moment (μB/f.u.): 0.00
Energy with MP2020 corrections (eV/atom): -6.00

Lattice parameters (Å, degrees): 8.800 8.800 4.543 90.00 90.00 90.00
Space group P4/mmm (No. 123)
Unique sites:
Ba1 0.000 0.000 0.000
Mg1 0.000 0.264 0.500
Mg2 0.000 0.500 0.000
Mg3 0.247 0.500 0.500
Mg4 0.256 0.256 0.000
Cd1 0.500 0.500 0.000
O1 0.000 0.000 0.500
O2 0.000 0.279 0.000
O3 0.000 0.500 0.500
O4 0.241 0.500 0.000
O5 0.251 0.251 0.500
O6 0.500 0.500 0.500

Repeat the first record exactly.
Compound: Rb2Au3
Source: the Materials Project
Functional: GGA-PBE
Structure: optimized geometry

Crystal system: orthorhombic
Energy relative to the elements (eV per atom): -0.299

Lattice parameters (Å, degrees): 5.046 5.594 10.808 90.00 90.00 90.00
Space group Immm (No. 71)
Unique sites:
Rb1 0.000 0.000 0.196
Au1 0.000 0.254 0.500
Au2 0.000 0.500 0.000

Among the records above, which one has the highest energy relative to the elements? Rb2Au3

Which of these has the lowest energy relative to the elements? BaMg14CdO16

=====

Entry 1:
VASP calculation (GGA+U) on a relaxed Li4Ni3SbO8 crystal.

abc: 5.9846 5.9846 5.9846
angles: 59.97 59.97 59.97
With the nearest neighbours (Å) after each atom.
Fractional positions:
Li1 0.0000 0.0000 0.0000  6 O 2.22
Li2 0.0000 0.5000 0.5000  6 O 2.13-2.23
Li3 0.5000 0.0000 0.5000  6 O 2.13-2.23
Li4 0.5000 0.5000 0.0000  6 O 2.13-2.23
Ni1 0.0000 0.0000 0.5000  6 O 2.01-2.11
Ni2 0.0000 0.5000 0.0000  6 O 2.01-2.11
Ni3 0.5000 0.0000 0.0000  6 O 2.01-2.11
Sb1 0.5000 0.5000 0.5000  6 O 2.02
O1 0.2373 0.2373 0.2373  3 Ni 2.01, 3 Li 2.23
O2 0.2592 0.7382 0.7382  1 Sb 2.02, 2 Ni 2.11, 3 Li 2.13-2.22
O3 0.2618 0.2618 0.7408  1 Sb 2.02, 2 Ni 2.11, 3 Li 2.13-2.22
O4 0.2618 0.7408 0.2618  1 Sb 2.02, 2 Ni 2.11, 3 Li 2.13-2.22
O5 0.7382 0.2592 0.7382  1 Sb 2.02, 2 Ni 2.11, 3 Li 2.13-2.22
O6 0.7382 0.7382 0.2592  1 Sb 2.02, 2 Ni 2.11, 3 Li 2.13-2.22
O7 0.7408 0.2618 0.2618  1 Sb 2.02, 2 Ni 2.11, 3 Li 2.13-2.22
O8 0.7627 0.7627 0.7627  3 Ni 2.01, 3 Li 2.23

## Properties
**SG**: No. 166
**Raw total energy**: -5.26 eV per atom
**Energy of formation from the pure elements**: -1.786 eV per atom

=====

Entry 2:
VASP calculation (GGA+U) on a relaxed TiNi3Sn2P6O24 crystal.

abc: 8.4858 8.4858 8.4858
angles: 61.44 61.44 61.44
With the nearest neighbours (Å) after each atom.
Fractional positions:
Ti1 0.0000 0.0000 0.0000  3 O 1.86
Ni1 0.2985 0.2985 0.2985  6 O 1.95-2.15
Ni2 0.5016 0.5016 0.5016  6 O 1.97-2.20
Ni3 0.7952 0.7952 0.7952  6 O 1.96-2.11
Sn1 0.1516 0.1516 0.1516  6 O 2.11-2.16
Sn2 0.6510 0.6510 0.6510  6 O 2.11-2.12
P1 0.1048 0.6929 0.3996  4 O 1.50-1.63
P2 0.1943 0.6014 0.8967  4 O 1.48-1.58
P3 0.3996 0.1048 0.6929  4 O 1.50-1.63
P4 0.6014 0.8967 0.1943  4 O 1.48-1.58
P5 0.6929 0.3996 0.1048  4 O 1.50-1.63
P6 0.8967 0.1943 0.6014  4 O 1.48-1.58
O1 0.0458 0.6392 0.8263  1 P 1.48
O2 0.0540 0.2169 0.4005  1 P 1.58
O3 0.0832 0.9017 0.2376  1 P 1.63
O4 0.1367 0.5492 0.3240  1 P 1.50
O5 0.1425 0.7615 0.9727  1 P 1.57
O6 0.2169 0.4005 0.0540  1 P 1.58
O7 0.2376 0.0832 0.9017  1 P 1.63
O8 0.2530 0.6667 0.4660  1 P 1.50
O9 0.3240 0.1367 0.5492  1 P 1.50
O10 0.3971 0.5940 0.7466  1 P 1.57
O11 0.4005 0.0540 0.2169  1 P 1.58
O12 0.4660 0.2530 0.6667  1 P 1.50
O13 0.5492 0.3240 0.1367  1 P 1.50
O14 0.5518 0.8984 0.7186  1 P 1.59
O15 0.5940 0.7466 0.3971  1 P 1.57
O16 0.6392 0.8263 0.0458  1 P 1.48
'''
1